**Entries:**
-- begin --
[1]
Starting from a crystal structure in Alexandria, relaxed with PBE, the powder X-ray diffraction pattern of Na2Zn3InGe4 was calculated for Cu Kα X-rays.
Intensities are scaled so that the largest is 100.

Main lines, by angle (5° ≤ 2θ ≤ 70°):
index  2θ/deg  I/Imax
0 0 2  15.71  44
1 0 1  22.03  49
1 0 3  31.54  22
1 1 2  33.35  100
2 0 0  41.82  63
1 1 4  43.68  75
1 0 5  45.34  22
2 2 0  60.63  20
2 1 5  63.37  16
2 0 6  65.85  14

Cell and atoms:
abc: 4.3202 4.3202 11.2835
angles: 90.00 90.00 90.00
Space group P-4m2 (No. 115)
One atom of each set of equivalent atoms:
Na 0.0000 0.5000 0.2391
Zn 0.0000 0.5000 0.8658
Zn 0.5000 0.5000 0.5000
In 0.0000 0.0000 0.5000
Ge 0.0000 0.0000 0.0000
Ge 0.0000 0.5000 0.6462
Ge 0.5000 0.5000 0.0000

***

[2]
Starting from a crystal structure in Alexandria, relaxed with PBE, the powder X-ray diffraction pattern of Nd6InGe2 was calculated for Cu Kα X-rays.
Intensities are scaled so that the largest is 100.

Main lines, by angle (5° ≤ 2θ ≤ 70°):
index  2θ/deg  I/Imax
0 1 3  26.65  14
3 1 0  28.31  16
2 2 2  30.20  100
2 1 3  32.26  39
1 3 2  32.49  44
2 3 1  32.97  44
0 0 4  33.76  15
4 0 0  36.14  36
2 0 6  55.07  19
5 3 2  56.31  22

Cell and atoms:
abc: 9.9403 10.2235 10.6197
angles: 90.00 90.00 90.00
Space group Immm (No. 71)
One atom of each set of equivalent atoms:
Nd 0.0000 0.2025 0.2465
Nd 0.2059 0.5000 0.1755
Nd 0.2252 0.3181 0.5000
In 0.0000 0.0000 0.0000
In 0.0000 0.0000 0.5000
Ge 0.0000 0.3607 0.0000
Ge 0.0000 0.5000 0.3813

***

[3]
Starting from a crystal structure in Alexandria, relaxed with PBE, the powder X-ray diffraction pattern of Nd3In4Ge was calculated for Cu Kα X-rays.
Intensities are scaled so that the largest is 100.

Main lines, by angle (5° ≤ 2θ ≤ 70°):
index  2θ/deg  I/Imax
2 2 0  29.67  9
0 0 4  29.95  8
2 1 3  32.55  100
3 1 0  33.27  59
3 1 4  45.37  12
4 2 0  47.77  9
4 1 3  49.74  12
5 2 3  63.29  20
4 0 6  64.06  8
3 3 6  66.14  10

Cell and atoms:
abc: 8.5154 8.5154 11.9357
angles: 90.00 90.00 90.00
Space group I4/mcm (No. 140)
One atom of each set of equivalent atoms:
Nd 0.0000 0.0000 0.2500
Nd 0.1636 0.3364 0.0000
In 0.1430 0.3570 0.3210
Ge 0.0000 0.0000 0.0000

***

[4]
Starting from a crystal structure in Alexandria, relaxed with PBE, the powder X-ray diffraction pattern of Pr7In6Ni5Ge3 was calculated for Cu Kα X-rays.
Intensities are scaled so that the largest is 100.

Main lines, by angle (5° ≤ 2θ ≤ 70°):
index  2θ/deg  I/Imax
2 1 1  31.95  100
3 1 0  32.40  23
3 0 1  34.46  66
2 3 0  39.42  28
1 4 0  41.53  15
0 0 2  43.19  24
2 4 0  48.34  11
3 1 2  55.01  10
5 1 1  55.87  16
2 3 2  59.90  18

Cell and atoms:
abc: 11.5054 11.5054 4.1894
angles: 90.00 90.00 120.00
Space group P-6 (No. 174)
One atom of each set of equivalent atoms:
Pr 0.0000 0.0000 0.0000
Pr 0.0749 0.6960 0.0000
Pr 0.3785 0.0844 0.0000
In 0.1637 0.5192 0.5000
In 0.5149 0.3489 0.5000
Ni 0.2467 0.1641 0.5000
Ni 0.3333 0.6667 0.0000
Ni 0.6667 0.3333 0.0000
Ge 0.0776 0.2306 0.5000
-- stop --

**What to do:**
Transcribe all of the lines above without altering anything.

**Done:**
[1]
Starting from a crystal structure in Alexandria, relaxed with PBE, the powder X-ray diffraction pattern of Na2Zn3InGe4 was calculated for Cu Kα X-rays.
Intensities are scaled so that the largest is 100.

Main lines, by angle (5° ≤ 2θ ≤ 70°):
index  2θ/deg  I/Imax
0 0 2  15.71  44
1 0 1  22.03  49
1 0 3  31.54  22
1 1 2  33.35  100
2 0 0  41.82  63
1 1 4  43.68  75
1 0 5  45.34  22
2 2 0  60.63  20
2 1 5  63.37  16
2 0 6  65.85  14

Cell and atoms:
abc: 4.3202 4.3202 11.2835
angles: 90.00 90.00 90.00
Space group P-4m2 (No. 115)
One atom of each set of equivalent atoms:
Na 0.0000 0.5000 0.2391
Zn 0.0000 0.5000 0.8658
Zn 0.5000 0.5000 0.5000
In 0.0000 0.0000 0.5000
Ge 0.0000 0.0000 0.0000
Ge 0.0000 0.5000 0.6462
Ge 0.5000 0.5000 0.0000

***

[2]
Starting from a crystal structure in Alexandria, relaxed with PBE, the powder X-ray diffraction pattern of Nd6InGe2 was calculated for Cu Kα X-rays.
Intensities are scaled so that the largest is 100.

Main lines, by angle (5° ≤ 2θ ≤ 70°):
index  2θ/deg  I/Imax
0 1 3  26.65  14
3 1 0  28.31  16
2 2 2  30.20  100
2 1 3  32.26  39
1 3 2  32.49  44
2 3 1  32.97  44
0 0 4  33.76  15
4 0 0  36.14  36
2 0 6  55.07  19
5 3 2  56.31  22

Cell and atoms:
abc: 9.9403 10.2235 10.6197
angles: 90.00 90.00 90.00
Space group Immm (No. 71)
One atom of each set of equivalent atoms:
Nd 0.0000 0.2025 0.2465
Nd 0.2059 0.5000 0.1755
Nd 0.2252 0.3181 0.5000
In 0.0000 0.0000 0.0000
In 0.0000 0.0000 0.5000
Ge 0.0000 0.3607 0.0000
Ge 0.0000 0.5000 0.3813

***

[3]
Starting from a crystal structure in Alexandria, relaxed with PBE, the powder X-ray diffraction pattern of Nd3In4Ge was calculated for Cu Kα X-rays.
Intensities are scaled so that the largest is 100.

Main lines, by angle (5° ≤ 2θ ≤ 70°):
index  2θ/deg  I/Imax
2 2 0  29.67  9
0 0 4  29.95  8
2 1 3  32.55  100
3 1 0  33.27  59
3 1 4  45.37  12
4 2 0  47.77  9
4 1 3  49.74  12
5 2 3  63.29  20
4 0 6  64.06  8
3 3 6  66.14  10

Cell and atoms:
abc: 8.5154 8.5154 11.9357
angles: 90.00 90.00 90.00
Space group I4/mcm (No. 140)
One atom of each set of equivalent atoms:
Nd 0.0000 0.0000 0.2500
Nd 0.1636 0.3364 0.0000
In 0.1430 0.3570 0.3210
Ge 0.0000 0.0000 0.0000

***

[4]
Starting from a crystal structure in Alexandria, relaxed with PBE, the powder X-ray diffraction pattern of Pr7In6Ni5Ge3 was calculated for Cu Kα X-rays.
Intensities are scaled so that the largest is 100.

Main lines, by angle (5° ≤ 2θ ≤ 70°):
index  2θ/deg  I/Imax
2 1 1  31.95  100
3 1 0  32.40  23
3 0 1  34.46  66
2 3 0  39.42  28
1 4 0  41.53  15
0 0 2  43.19  24
2 4 0  48.34  11
3 1 2  55.01  10
5 1 1  55.87  16
2 3 2  59.90  18

Cell and atoms:
abc: 11.5054 11.5054 4.1894
angles: 90.00 90.00 120.00
Space group P-6 (No. 174)
One atom of each set of equivalent atoms:
Pr 0.0000 0.0000 0.0000
Pr 0.0749 0.6960 0.0000
Pr 0.3785 0.0844 0.0000
In 0.1637 0.5192 0.5000
In 0.5149 0.3489 0.5000
Ni 0.2467 0.1641 0.5000
Ni 0.3333 0.6667 0.0000
Ni 0.6667 0.3333 0.0000
Ge 0.0776 0.2306 0.5000